File >
********
No. 1
For GaSeBr2, the GGA-PBE geometry in Alexandria gives the calculated powder diffractogram in this record (Cu Ka).

Principal peaks in the range 5° ≤ 2θ ≤ 70°, by angle:
| 2θ/deg | intensity |
| --- | --- |
| 16.44 | 34 |
| 26.72 | 100 |
| 27.40 | 21 |
| 31.09 | 67 |
| 46.02 | 33 |
| 46.16 | 33 |
| 46.75 | 17 |
| 48.02 | 21 |

Atomic structure:
```
GaSeBr2
1.0
5.179 -3.255 0.000
5.179 3.255 0.000
-1.441 0.000 3.609
Ga Se Br
1 1 2
direct
0.000 0.000 0.000 Ga
0.232 0.768 0.500 Se
0.567 0.069 0.819 Br
0.931 0.433 0.181 Br
```

---

No. 2
For SmGa2Br5, the GGA-PBE geometry in Alexandria gives the calculated powder diffractogram in this record (Cu Ka).

Principal peaks in the range 5° ≤ 2θ ≤ 70°, by angle:
| 2θ/deg | intensity |
| --- | --- |
| 12.31 | 100 |
| 16.98 | 75 |
| 25.74 | 79 |
| 26.57 | 76 |
| 33.04 | 68 |
| 33.20 | 70 |
| 35.21 | 69 |
| 41.11 | 96 |

Atomic structure:
```
SmGa2Br5
1.0
7.972 -3.895 0.000
7.972 3.895 0.000
-4.673 0.000 9.770
Sm Ga Br
2 4 10
direct
0.000 0.000 0.000 Sm
0.000 0.000 0.500 Sm
0.352 0.407 0.777 Ga
0.407 0.352 0.277 Ga
0.593 0.647 0.722 Ga
0.647 0.593 0.222 Ga
0.029 0.329 0.152 Br
0.147 0.853 0.250 Br
0.237 0.607 0.537 Br
0.329 0.029 0.652 Br
0.393 0.763 0.962 Br
0.607 0.237 0.037 Br
0.671 0.972 0.348 Br
0.763 0.393 0.462 Br
0.853 0.147 0.750 Br
0.972 0.671 0.848 Br
```

---

No. 3
For Sm2GaBr2, the GGA-PBE geometry in Alexandria gives the calculated powder diffractogram in this record (Cu Ka).

Principal peaks in the range 5° ≤ 2θ ≤ 70°, by angle:
| 2θ/deg | intensity |
| --- | --- |
| 7.80 | 73 |
| 15.65 | 22 |
| 25.37 | 19 |
| 29.83 | 56 |
| 30.02 | 100 |
| 40.84 | 43 |
| 41.15 | 20 |
| 44.72 | 48 |

Atomic structure:
```
Sm2GaBr2
1.0
3.510 -2.027 0.000
3.510 2.027 0.000
-0.110 0.000 11.328
Sm Ga Br
2 1 2
direct
0.169 0.169 0.167 Sm
0.831 0.831 0.833 Sm
0.500 0.500 0.000 Ga
0.162 0.162 0.671 Br
0.838 0.838 0.329 Br
```

---

No. 4
For SmGaSn2Br8, the GGA-PBE geometry in Alexandria gives the calculated powder diffractogram in this record (Cu Ka).

Principal peaks in the range 5° ≤ 2θ ≤ 70°, by angle:
| 2θ/deg | intensity |
| --- | --- |
| 17.71 | 93 |
| 18.02 | 93 |
| 23.77 | 68 |
| 26.74 | 97 |
| 26.95 | 82 |
| 35.12 | 88 |
| 35.45 | 92 |
| 42.75 | 100 |

Atomic structure:
```
SmGaSn2Br8
1.0
6.853 0.000 0.000
0.000 8.936 0.000
-0.124 0.000 7.203
Sm Ga Sn Br
1 1 2 8
direct
0.000 0.000 0.000 Sm
0.000 0.500 0.000 Ga
0.500 0.256 0.500 Sn
0.500 0.744 0.500 Sn
0.237 0.235 0.159 Br
0.237 0.765 0.159 Br
0.244 0.000 0.677 Br
0.275 0.500 0.653 Br
0.725 0.500 0.347 Br
0.756 0.000 0.323 Br
0.763 0.235 0.841 Br
0.763 0.765 0.841 Br
```

---

No. 5
For SmTlGa2Br6, the GGA-PBE geometry in Alexandria gives the calculated powder diffractogram in this record (Cu Ka).

Principal peaks in the range 5° ≤ 2θ ≤ 70°, by angle:
| 2θ/deg | intensity |
| --- | --- |
| 15.47 | 72 |
| 21.27 | 47 |
| 25.93 | 78 |
| 31.23 | 33 |
| 34.15 | 100 |
| 38.89 | 35 |
| 39.67 | 60 |
| 44.91 | 32 |

Atomic structure:
```
SmTlGa2Br6
1.0
3.935 2.272 7.049
-3.935 2.272 7.049
0.000 -4.544 7.049
Sm Tl Ga Br
1 1 2 6
direct
0.000 0.000 0.000 Sm
0.511 0.511 0.511 Tl
0.315 0.315 0.315 Ga
0.808 0.808 0.808 Ga
0.092 0.368 0.748 Br
0.182 0.935 0.617 Br
0.368 0.748 0.092 Br
0.617 0.182 0.935 Br
0.748 0.092 0.368 Br
0.935 0.617 0.182 Br
```

* * * * *

Sb2P3H3O9: simulated powder X-ray diffraction pattern (Cu Ka), based on a structure optimized by DFT (GGA-PBE).
********
What to do >
Write out only the lines earlier on with the word "SmTlGa2Br6" in them.
Response >
For SmTlGa2Br6, the GGA-PBE geometry in Alexandria gives the calculated powder diffractogram in this record (Cu Ka).
SmTlGa2Br6